News & Politics

NPR’s Newest Podcast Goes for Longform International Reporting

Rough Translation, hosted by former East Africa correspondent Gregory Warner, launches August 14.

NPR's DC headquarters. Photograph by Stephen Voss/NPR.

One of NPR’s most under-appreciated qualities might be that unlike most large US news organizations, it still boasts a robust network of international correspondents. Even if the typical morning or afternoon broadcast is filled mostly with the latest twist in domestic politics, NPR still tends to squeeze in a foreign dispatch.

But NPR’s 17 foreign-based correspondents will now be stretching out their reporting with the network’s newest podcast, Rough Translation, which debuts next Monday with a story about race relations in Brazil by Gregory Warner. Warner just completed a four-year run as NPR’s East Africa correspondent, and will also serve as the show’s host.

Rough Translation‘s ambition is not too dissimilar from some of NPR’s other recent podcast offerings. Like the Kelly McEvers-hosted Embedded—which allows the network’s reporters to take deep dives on topics that typically only get a few minutes on-air—Rough Translation is also aimed at letting NPR’s international team to breathe and take longer strides with their coverage. The goal is to get the listener to see familiar topics in unfamiliar places. An upcoming episode tackles an epidemic of fake news—often produced in Russia—that’s been overwhelming residents of Ukraine.

**Someone pasted records of crystals at this point:**
#1
DFT (PBE-GGA) results for crystalline BaPr2Se4 at its relaxed geometry.

Structure (POSCAR):
```
BaPr2Se4
1.0
4.389 0.000 0.000
0.000 12.906 0.000
0.000 0.000 15.700
Se Pr Ba
16 8 4
Direct
0.750 0.287 0.322
0.250 0.713 0.678
0.250 0.213 0.822
0.250 0.137 0.521
0.250 0.423 0.582
0.750 0.486 0.782
0.750 0.863 0.479
0.750 0.986 0.718
0.250 0.514 0.218
0.250 0.014 0.282
0.750 0.077 0.082
0.250 0.637 0.979
0.250 0.923 0.918
0.750 0.363 0.021
0.750 0.577 0.418
0.750 0.787 0.178
0.250 0.919 0.106
0.250 0.926 0.604
0.250 0.419 0.394
0.750 0.574 0.104
0.750 0.581 0.606
0.750 0.074 0.396
0.750 0.081 0.894
0.250 0.426 0.896
0.250 0.253 0.160
0.750 0.747 0.840
0.750 0.247 0.660
0.250 0.753 0.340
```

## Properties
SG = No. 62

***

#2
DFT (PBE-GGA) results for crystalline BaPr2Se4 at its relaxed geometry.

Structure (POSCAR):
```
BaPr2Se4
1.0
4.349 0.000 0.000
-2.175 7.132 0.000
0.000 0.000 14.630
Se Ba Pr
8 2 4
Direct
0.768 0.536 0.385
0.768 0.536 0.115
0.946 0.892 0.750
0.054 0.108 0.250
0.500 0.000 0.000
0.232 0.464 0.615
0.500 0.000 0.500
0.232 0.464 0.885
0.611 0.222 0.750
0.389 0.778 0.250
0.866 0.732 0.568
0.866 0.732 0.932
0.134 0.268 0.432
0.134 0.268 0.068
```

## Properties
SG = No. 63

***

List of relative energies, unit kJ/mol of atoms: #1 0.0; #2 1.9

***

#1
DFT (PBE-GGA) results for crystalline BaPrSm2 at its relaxed geometry.

Structure (POSCAR):
```
BaPrSm2
1.0
5.324 0.000 0.000
0.000 5.387 0.000
0.000 0.000 5.387
Ba Pr Sm
1 1 2
Direct
0.500 0.500 0.500
0.500 0.000 0.000
0.000 0.000 0.500
0.000 0.500 0.000
```

## Properties
SG = No. 123

***

#2
DFT (PBE-GGA) results for crystalline BaPrSm2 at its relaxed geometry.

Structure (POSCAR):
```
BaPrSm2
1.0
-0.757 -3.577 -1.038
-0.642 -2.651 2.646
-12.653 0.586 0.246
Pr Sm Ba
1 2 1
Direct
0.500 0.500 0.499
0.089 0.089 0.733
0.244 0.244 0.267
0.666 0.666 0.001
```

## Properties
SG = No. 160

***

#3
DFT (PBE-GGA) results for crystalline BaPrSm2 at its relaxed geometry.

Structure (POSCAR):
```
BaPrSm2
1.0
3.776 0.000 0.000
0.000 3.776 0.000
0.000 0.000 11.025
Ba Sm Pr
1 2 1
Direct
0.500 0.500 0.500
0.000 0.000 0.778
0.000 0.000 0.222
0.500 0.500 0.000
```

## Properties
SG = No. 123

***

List of relative energies, unit kJ/mol of atoms: #1 7.2; #2 1.3; #3 0.0

***

#1
DFT (PBE-GGA) results for crystalline BaPrSm at its relaxed geometry.

Structure (POSCAR):
```
BaPrSm
1.0
3.833 0.000 0.000
0.000 3.833 0.000
-1.916 -1.916 8.484
Ba Sm Pr
1 1 1
Direct
0.001 0.001 0.001
0.681 0.681 0.362
0.318 0.318 0.637
```

## Properties
SG = No. 107

***

#2
DFT (PBE-GGA) results for crystalline BaPrSm at its relaxed geometry.

Structure (POSCAR):
```
BaPrSm
1.0
-3.573 1.231 0.718
1.336 -3.154 1.751
3.312 5.403 7.208
Ba Pr Sm
1 1 1
Direct
0.000 0.000 0.998
0.667 0.333 0.354
0.333 0.667 0.648
```

## Properties
SG = No. 156

***

List of relative energies, unit kJ/mol of atoms: #1 0.0; #2 1.3

***

#1
DFT (PBE-GGA) results for crystalline BaPr2Sn at its relaxed geometry.

Structure (POSCAR):
```
BaPr2Sn
1.0

“I think that in the age we are in now the foreign world is less foreign,” Warner says. “The lives we’re we’re living are certainly not immune from racial questions that people are wrestling with in interesting ways in Brazil or the fake news onslaught that people are dealing with in very interesting ways in Ukraine.”

While topics like that can be broached on NPR’s flagship shows Morning Edition and All Things Considered, they rarely get an opportunity to delve deep on a daily broadcast. Live-radio stories are also ephemeral and don’t always stick in listeners’ memories. Warner sees podcasts as a format that can reach a broader audience in a different manner than a regular radio piece.

Gregory Warner. Photograph by Sandy Honig via NPR.

“There was a particular story I reported when John Kerry had come to Ethiopia [in May 2014] and it was a piece for All Things Considered about a particular anchor interaction that I witnessed between Kerry and an Ethiopian journalist,” Warner says. “And then we ended up turning around and making that into a Radiolab episode. And I can tell you that the Radiolab episode certainly had a much longer tail.”

The reporter who confronted Kerry earned a mention at the end of Warner’s dispatch about the then-secretary of state’s visit to Ethiopia, but it was the Radiolab segment several months later in which the encounter was really dissected. Warner hopes Rough Translation will allow NPR’s other foreign correspondents to do the same with what they witness.

“We have a lot of you know great reporting on NPR’s international desk every day,” he says. “How can we leverage some of that to reach different audiences to exist longer? I think one of the keys is it’s not a it’s not a news frame. You get to highlight characters and you get to present those folks in a different way instead of just being newsmakers.”

Staff Writer

- - -
a | A relaxed structure of KYS2N. Source: Alexandria via LeMat-Bulk, functional PBE-GGA.

## Properties
Fermi-level density of states = 0.7529 states/eV per atom

Geometry as CIF:
```
data_KYS2N
_chemical_formula_sum 'K1 Y1 S2 N1'
_cell_length_a 5.3568
_cell_length_b 5.3568
_cell_length_c 4.7348
_cell_angle_alpha 90.00
_cell_angle_beta 90.00
_cell_angle_gamma 90.00
_space_group_name_H-M_alt 'P 4/m m m'
_space_group_IT_number 123
_space_group_name_Hall '-P 4 2'
loop_
_atom_site_label
_atom_site_fract_x
_atom_site_fract_y
_atom_site_fract_z
K1 0.0000 0.0000 0.0000
Y1 0.5000 0.5000 0.5000
S1 0.0000 0.5000 0.5000
N1 0.5000 0.5000 0.0000
```


b | A relaxed structure of KYS2N. Source: Alexandria via LeMat-Bulk, functional PBE-GGA.

## Properties
Fermi-level density of states = 0.5116 states/eV per atom

Geometry as CIF:
```
data_KYS2N
_chemical_formula_sum 'K1 Y1 S2 N1'
_cell_length_a 5.2650
_cell_length_b 5.2650
_cell_length_c 4.2285
_cell_angle_alpha 90.00
_cell_angle_beta 90.00
_cell_angle_gamma 90.00
_space_group_name_H-M_alt 'P 4/m m m'
_space_group_IT_number 123
_space_group_name_Hall '-P 4 2'
loop_
_atom_site_label
_atom_site_fract_x
_atom_site_fract_y
_atom_site_fract_z
K1 0.0000 0.0000 0.0000
Y1 0.5000 0.5000 0.5000
S1 0.0000 0.5000 0.0000
N1 0.0000 0.0000 0.5000
```


The energy of each structure relative to the most stable one, in meV/atom, is as follows: a 0; b 1260.

----------

Density functional theory data (PBE with a Hubbard U) for a geometry-optimized LaMnS2O8 structure.

a b c (Å): 5.396 5.396 6.835
angles (deg): 90.00 90.00 120.00
Positions (direct):
La: 0.000 0.000 0.000
Mn: 0.000 0.000 0.500
S: 0.333 0.667 0.218
S: 0.667 0.333 0.782
O: 0.181 0.363 0.287
O: 0.181 0.819 0.287
O: 0.333 0.667 0.000
O: 0.363 0.181 0.713
O: 0.637 0.819 0.287
O: 0.667 0.333 0.000
O: 0.819 0.181 0.713
O: 0.819 0.637 0.713

Summary:
Volume ... 172.3 Å³/cell
Symmetry ... No. 164
DOS(E_F) ... 2.309 states/eV/cell
DFT total energy ... -6.769 eV per atom
- - -

Benjamin Freed joined Washingtonian in August 2013 and covers politics, business, and media. He was previously the editor of DCist and has also written for Washington City Paper, the New York Times, the New Republic, Slate, and BuzzFeed. He lives in Adams Morgan.